## Work order
Write out the whole of the data further down with every line break kept.

## Input
┌──
Molecular formula: C20H46AuOP4
Method: DFT, the ωB97M-V functional and the def2-TZVPD basis

Results
- Multiplicity: 3
- Net charge: +3
- Frontier orbital gap (alpha / beta): 7.1 / 4.1 eV
- Highest occupied orbital energy (alpha / beta): -15.96 / -16.08 eV

Structure (XYZ):
```
72
C20H46AuOP4 (the ωB97M-V functional and the def2-TZVPD basis)
Au 0.23662 0.33373 0.61792
P 1.73953 -1.02406 1.80528
P 1.39679 2.14601 -0.35624
P -1.43667 -1.93004 -1.29120
H -0.15121 2.29269 -7.03137
C -1.16818 1.90515 -6.99198
C -2.17704 2.53125 -6.37870
H -2.15965 3.57241 -6.04641
C 2.97152 -1.95278 0.84062
C 2.63741 0.18831 2.83175
C 0.83507 -2.11772 2.93671
C 0.62372 3.14992 -1.66666
C 1.61994 3.31848 1.03659
C 3.07427 1.79850 -0.97930
C -2.83901 -2.42587 -2.33368
C -1.78153 -2.63338 0.33397
C 0.02853 -2.77909 -1.91596
H -1.35766 1.02046 -7.58442
H -3.16408 2.05636 -6.37009
H 3.71762 -2.45963 1.46902
H 3.49200 -1.26165 0.16327
H 2.46554 -2.69998 0.21328
H 3.32653 -0.28506 3.53975
H 1.90086 0.78567 3.38741
H 3.20895 0.86710 2.18301
H 1.29956 -3.10907 3.01782
H -0.19256 -2.23702 2.56971
H 0.78924 -1.66888 3.93929
H 0.81660 4.21669 -1.45829
H -0.45986 2.96212 -1.71302
H 1.09998 2.88139 -2.62195
H 2.26503 4.13502 0.69512
H 2.06472 2.79958 1.89604
H 0.63692 3.73178 1.31498
H 3.62802 2.74707 -1.07617
H 2.98306 1.32234 -1.97016
H 3.61704 1.13738 -0.28684
H -3.31851 -3.31377 -1.90009
H -2.49365 -2.60167 -3.36521
H -3.56322 -1.59536 -2.36650
H -2.53019 -3.43072 0.19356
H -2.20108 -1.90919 1.04000
H -0.88106 -3.02416 0.82024
H -0.33143 -3.64007 -2.49894
H 0.66970 -3.13267 -1.09702
H 0.63856 -2.13751 -2.56115
C -1.94806 0.69726 -3.67840
C -0.60675 0.41448 -4.13196
C -0.39133 -0.55255 -5.09348
C -1.50251 -1.10420 -5.77518
C -2.79882 -0.61319 -5.53438
C -3.03024 0.31903 -4.56528
O -2.21915 1.12652 -2.51252
H -1.48671 -0.50319 -1.62179
H 0.19868 0.95972 -3.64321
H 0.62196 -0.87938 -5.32778
H -1.34685 -1.85819 -6.56876
H -3.64572 -0.96949 -6.15008
H -4.00912 0.77084 -4.40467
C -3.16540 -0.03962 1.76388
P -1.82113 1.12226 1.44595
C -2.39422 2.58096 0.54444
C -1.22190 1.74564 3.03904
H -3.44126 -0.57174 0.83979
H -4.09422 0.42655 2.10393
H -2.85143 -0.75668 2.53864
H -3.39906 2.85430 0.87209
H -1.73698 3.43016 0.76588
H -2.43769 2.36256 -0.53521
H -2.05389 2.10326 3.64898
H -0.69959 0.93938 3.57534
H -0.52905 2.58016 2.87336
```

=====

Molecular formula: C12H19N2O
Method: DFT, the ωB97M-V functional and the def2-TZVPD basis

Results
- Multiplicity: 1
- Net charge: +1
- Frontier orbital gap: 8.6 eV
- Highest occupied orbital energy: -12.94 eV

Structure (XYZ):
```
34
C12H19N2O (the ωB97M-V functional and the def2-TZVPD basis)
C 0.48509 -2.14254 -2.51473
C -0.64609 -1.64003 -1.95339
C 1.59597 -2.47154 -1.76017
C -0.51369 -1.13297 -0.63112
C 1.58168 -2.17860 -0.39654
C -0.34697 -2.08037 2.11866
C -1.12110 2.09730 -1.92514
C -1.65758 2.21345 -0.49555
C -0.55588 2.71861 0.45290
C 0.52118 1.62175 0.72004
C -0.16440 0.67714 1.71247
C 0.57441 -1.11046 1.49473
N 0.63896 -1.34833 0.11839
N 1.86630 -1.08029 2.18597
O -1.24838 -2.68473 1.60457
H 0.55367 -2.45629 -3.56744
H -1.62553 -1.51267 -2.47412
H 2.56998 -2.89228 -2.16225
H -1.18943 -0.46082 -0.14154
H 2.33412 -2.73930 0.21390
H -0.12245 -1.99227 3.27973
H -0.73522 1.11285 -2.08334
H -1.99758 2.35099 -2.57365
H -0.36452 2.90924 -2.10416
H -2.10769 1.36399 0.02584
H -2.43615 2.99937 -0.61939
H -0.12689 3.60386 0.06242
H -1.08513 2.95112 1.43250
H 1.48168 2.09390 1.15025
H 0.79411 1.23070 -0.38439
H 0.13615 0.83136 2.63887
H -1.28472 0.54175 1.56411
H 2.41774 -0.37026 1.83953
H 1.77837 -1.02364 3.17201
```

=====

Molecular formula: C4H12O3
Method: DFT, the ωB97M-V functional and the def2-TZVPD basis

Results
- Multiplicity: 1
- Net charge: 0
- SMILES: CC(C)C=O.O.O
- Frontier orbital gap: 10.1 eV
- Highest occupied orbital energy: -9.58 eV

Structure (XYZ):
```
19
C4H12O3 (the ωB97M-V functional and the def2-TZVPD basis)
C 2.21322 -0.85502 -0.50014
C 0.90064 -0.04613 -0.14646
C -0.25580 -0.80103 -0.72508
└──

## Outcome
Molecular formula: C20H46AuOP4
Method: DFT, the ωB97M-V functional and the def2-TZVPD basis

Results
- Multiplicity: 3
- Net charge: +3
- Frontier orbital gap (alpha / beta): 7.1 / 4.1 eV
- Highest occupied orbital energy (alpha / beta): -15.96 / -16.08 eV

Structure (XYZ):
```
72
C20H46AuOP4 (the ωB97M-V functional and the def2-TZVPD basis)
Au 0.23662 0.33373 0.61792
P 1.73953 -1.02406 1.80528
P 1.39679 2.14601 -0.35624
P -1.43667 -1.93004 -1.29120
H -0.15121 2.29269 -7.03137
C -1.16818 1.90515 -6.99198
C -2.17704 2.53125 -6.37870
H -2.15965 3.57241 -6.04641
C 2.97152 -1.95278 0.84062
C 2.63741 0.18831 2.83175
C 0.83507 -2.11772 2.93671
C 0.62372 3.14992 -1.66666
C 1.61994 3.31848 1.03659
C 3.07427 1.79850 -0.97930
C -2.83901 -2.42587 -2.33368
C -1.78153 -2.63338 0.33397
C 0.02853 -2.77909 -1.91596
H -1.35766 1.02046 -7.58442
H -3.16408 2.05636 -6.37009
H 3.71762 -2.45963 1.46902
H 3.49200 -1.26165 0.16327
H 2.46554 -2.69998 0.21328
H 3.32653 -0.28506 3.53975
H 1.90086 0.78567 3.38741
H 3.20895 0.86710 2.18301
H 1.29956 -3.10907 3.01782
H -0.19256 -2.23702 2.56971
H 0.78924 -1.66888 3.93929
H 0.81660 4.21669 -1.45829
H -0.45986 2.96212 -1.71302
H 1.09998 2.88139 -2.62195
H 2.26503 4.13502 0.69512
H 2.06472 2.79958 1.89604
H 0.63692 3.73178 1.31498
H 3.62802 2.74707 -1.07617
H 2.98306 1.32234 -1.97016
H 3.61704 1.13738 -0.28684
H -3.31851 -3.31377 -1.90009
H -2.49365 -2.60167 -3.36521
H -3.56322 -1.59536 -2.36650
H -2.53019 -3.43072 0.19356
H -2.20108 -1.90919 1.04000
H -0.88106 -3.02416 0.82024
H -0.33143 -3.64007 -2.49894
H 0.66970 -3.13267 -1.09702
H 0.63856 -2.13751 -2.56115
C -1.94806 0.69726 -3.67840
C -0.60675 0.41448 -4.13196
C -0.39133 -0.55255 -5.09348
C -1.50251 -1.10420 -5.77518
C -2.79882 -0.61319 -5.53438
C -3.03024 0.31903 -4.56528
O -2.21915 1.12652 -2.51252
H -1.48671 -0.50319 -1.62179
H 0.19868 0.95972 -3.64321
H 0.62196 -0.87938 -5.32778
H -1.34685 -1.85819 -6.56876
H -3.64572 -0.96949 -6.15008
H -4.00912 0.77084 -4.40467
C -3.16540 -0.03962 1.76388
P -1.82113 1.12226 1.44595
C -2.39422 2.58096 0.54444
C -1.22190 1.74564 3.03904
H -3.44126 -0.57174 0.83979
H -4.09422 0.42655 2.10393
H -2.85143 -0.75668 2.53864
H -3.39906 2.85430 0.87209
H -1.73698 3.43016 0.76588
H -2.43769 2.36256 -0.53521
H -2.05389 2.10326 3.64898
H -0.69959 0.93938 3.57534
H -0.52905 2.58016 2.87336
```

=====

Molecular formula: C12H19N2O
Method: DFT, the ωB97M-V functional and the def2-TZVPD basis

Results
- Multiplicity: 1
- Net charge: +1
- Frontier orbital gap: 8.6 eV
- Highest occupied orbital energy: -12.94 eV

Structure (XYZ):
```
34
C12H19N2O (the ωB97M-V functional and the def2-TZVPD basis)
C 0.48509 -2.14254 -2.51473
C -0.64609 -1.64003 -1.95339
C 1.59597 -2.47154 -1.76017
C -0.51369 -1.13297 -0.63112
C 1.58168 -2.17860 -0.39654
C -0.34697 -2.08037 2.11866
C -1.12110 2.09730 -1.92514
C -1.65758 2.21345 -0.49555
C -0.55588 2.71861 0.45290
C 0.52118 1.62175 0.72004
C -0.16440 0.67714 1.71247
C 0.57441 -1.11046 1.49473
N 0.63896 -1.34833 0.11839
N 1.86630 -1.08029 2.18597
O -1.24838 -2.68473 1.60457
H 0.55367 -2.45629 -3.56744
H -1.62553 -1.51267 -2.47412
H 2.56998 -2.89228 -2.16225
H -1.18943 -0.46082 -0.14154
H 2.33412 -2.73930 0.21390
H -0.12245 -1.99227 3.27973
H -0.73522 1.11285 -2.08334
H -1.99758 2.35099 -2.57365
H -0.36452 2.90924 -2.10416
H -2.10769 1.36399 0.02584
H -2.43615 2.99937 -0.61939
H -0.12689 3.60386 0.06242
H -1.08513 2.95112 1.43250
H 1.48168 2.09390 1.15025
H 0.79411 1.23070 -0.38439
H 0.13615 0.83136 2.63887
H -1.28472 0.54175 1.56411
H 2.41774 -0.37026 1.83953
H 1.77837 -1.02364 3.17201
```

=====

Molecular formula: C4H12O3
Method: DFT, the ωB97M-V functional and the def2-TZVPD basis

Results
- Multiplicity: 1
- Net charge: 0
- SMILES: CC(C)C=O.O.O
- Frontier orbital gap: 10.1 eV
- Highest occupied orbital energy: -9.58 eV

Structure (XYZ):
```
19
C4H12O3 (the ωB97M-V functional and the def2-TZVPD basis)
C 2.21322 -0.85502 -0.50014
C 0.90064 -0.04613 -0.14646
C -0.25580 -0.80103 -0.72508